The meaning of the word "naturalist" can be considered under two aspects - scientific and philosophical. In the first case, these are researchers of nature, plant, animal and mineral worlds. In the second case, these are the followers of the "naturalism" movement, which can be seen not only in philosophy, but also in literature and art.

Naturalism is a kind of realism that is characterized as a collection of hypotheses about the creation of the world, but not randomly, but formed in the course of biological and cultural evolution.

Here everything is much simpler and closer to science. A naturalist is an author who describes the life of a society or one person of this society in a certain period of time. Doing this as realistically as possible so that you can understand how, for example, French workers lived in the 19th century. Emile Zola is considered the founder of naturalism.
In the exact sciences, you can also findindividuals who loved nature very much, loved to study it, to watch how their creations change the world around them. That was Albert Einstein. This means that the word "naturalist" can be used to characterize any person who thinks at least a little about the consequences of their actions on the environment.
"Young Naturalist" is the most famous publication of the USSR about and for animal lovers. The first issue was published in 1928. The journal published articles by nature lovers and their biology teachers, who had been gathering for 10 years in a circle of interests to study the environment. It was very popular, with a circulation reaching 2.5 million units. More than one generation grew up on these articles. The magazine developed and taught little readers to love our little brothers. He talked about how to live and cause as little harm to nature as possible, to notice its beauty. Today the circulation has decreased to 17,000, schoolchildren prefer the electronic version of the magazine instead of the printed one.
**Attached: calculated crystals**
........
(1)
The following is a PBE calculation of an optimized crystal structure of K5BaH7, from Alexandria.

Cell: 6.850 6.850 22.131 Å, 90.00 90.00 146.72°
Sites, in units of the cell vectors:
K 0.000 0.000 0.000
K 0.000 0.000 0.500
K 0.275 0.725 0.577
K 0.275 0.725 0.923
K 0.456 0.544 0.154
K 0.457 0.543 0.346
K 0.543 0.457 0.846
K 0.544 0.456 0.654
K 0.725 0.275 0.077
K 0.725 0.275 0.423
Ba 0.198 0.802 0.250
Ba 0.802 0.198 0.750
H 0.098 0.902 0.123
H 0.098 0.902 0.377
H 0.196 0.804 0.814
H 0.197 0.803 0.685
H 0.367 0.633 0.038
H 0.368 0.632 0.462
H 0.433 0.567 0.750
H 0.567 0.433 0.250
H 0.632 0.368 0.962
H 0.633 0.367 0.538
H 0.803 0.197 0.185
H 0.804 0.196 0.314
H 0.902 0.098 0.623
H 0.902 0.098 0.877


(2)
The following is a PBE calculation of an optimized crystal structure of KBa2H2, from Alexandria.

Cell: 4.491 4.491 19.439 Å, 90.00 90.00 90.00°
Sites, in units of the cell vectors:
K 0.000 0.000 0.000
K 0.500 0.500 0.500
Ba 0.000 0.000 0.321
Ba 0.000 0.000 0.679
Ba 0.500 0.500 0.179
Ba 0.500 0.500 0.821
H 0.000 0.500 0.250
H 0.000 0.500 0.750
H 0.500 0.000 0.250
H 0.500 0.000 0.750

Results
The value obtained for the excess energy over the best structure of this formula in the dataset is 0 meV per atom.


(3)
The following is a PBE calculation of an optimized crystal structure of KBa2H, from Alexandria.

Cell: 4.287 4.287 35.090 Å, 90.00 90.00 120.00°
Sites, in units of the cell vectors:
K 0.000 0.000 0.000
K 0.333 0.667 0.667
K 0.667 0.333 0.333
Ba 0.000 0.000 0.121
Ba 0.000 0.000 0.879
Ba 0.333 0.667 0.545
Ba 0.333 0.667 0.788
Ba 0.667 0.333 0.212
Ba 0.667 0.333 0.455
H 0.000 0.000 0.500
H 0.333 0.667 0.167
H 0.667 0.333 0.833

Results
The value obtained for the excess energy over the best structure of this formula in the dataset is 31 meV per atom.


(4)
The following is a PBE calculation of an optimized crystal structure of K5Ba3H12, from Alexandria.

Cell: 13.349 13.349 13.349 Å, 109.47 109.47 109.47°
Sites, in units of the cell vectors:
K 0.000 0.000 0.000
K 0.000 0.000 0.500
K 0.000 0.500 0.000
K 0.000 0.500 0.500
K 0.125 0.750 0.875
K 0.125 0.875 0.250
K 0.250 0.125 0.875
K 0.250 0.625 0.375
K 0.375 0.250 0.625
K 0.375 0.625 0.750
K 0.500 0.000 0.000
K 0.500 0.000 0.500
K 0.500 0.500 0.000
K 0.500 0.500 0.500
K 0.625 0.375 0.250
K 0.625 0.750 0.375
K 0.750 0.375 0.625
K 0.750 0.875 0.125
K 0.875 0.125 0.750
K 0.875 0.250 0.125
Ba 0.125 0.250 0.375
Ba 0.125 0.375 0.750
Ba 0.250 0.375 0.125
Ba 0.250 0.875 0.625
Ba 0.375 0.125 0.250
Ba 0.375 0.750 0.125
Ba 0.625 0.250 0.875
Ba 0.625 0.875 0.750
Ba 0.750 0.125 0.375
Ba 0.750 0.625 0.875
Ba 0.875 0.625 0.250
Ba 0.875 0.750 0.625
H 0.062 0.234 0.144
H 0.062 0.328 0.918
H 0.082 0.644 0.410
H 0.082 0.938 0.672
H 0.090 0.734 0.672
H 0.090 0.856 0.418
H 0.144 0.062 0.234
H 0.144 0.582 0.910
H 0.172 0.234 0.590
H 0.172 0.438 0.582
H 0.234 0.144 0.062
H 0.234 0.590 0.172
H 0.266 0.328 0.910
H 0.266 0.438 0.356
H 0.328 0.910 0.266
H 0.328 0.918 0.062
H 0.356 0.266 0.438
H 0.356 0.590 0.918
........
Naturalists are people who will talk about unusual natural phenomena that are characteristic of your region of residence. Or they will introduce you to an unusual animal that you just won’t meet. Thanks to them, you can also learn about the character, habits and nutrition of your beloved pet in order to create comfortable living conditions for the animal in your apartment
Greenpeace are naturalists who fight for good and good deeds, but often use not the most harmless ways. Recently, this name has been increasingly featured in scandalous news,because members of this community use very eccentric methods to achieve their goals. Increasingly we hear "extremist sect" rather than nature and animal lovers.

In general, such people are useful to the outside world. It is imperative to monitor the environment and maintain it at a certain level. The main thing is that naturalists are very common among scientists, for example: Albert Einstein, Mikhail Lomonosov, Charles Darwin, Isaac Newton, Sofia Kovalevskaya and many others who thought not only about their inventions, but also about what changes might be after their implementation to the masses. Naturalists are the guarantor of the integrity of the ecology of our planet.